[Brief]
Could you echo the block further down with every line break kept?

[Data]
=====
The following is a computed XRD peak list of Zr2Al3Cr. It was derived from a crystal structure in Alexandria, relaxed with GGA-PBE, using copper Kα.
Intensities are scaled so that the largest is 100.

Structural model:
a b c (Å): 5.3076 5.3076 12.9069
angles (deg): 90.00 90.00 120.00
Space group R-3m (No. 166, hexagonal axes)
One atom of each set of equivalent atoms:
Zr1 0.0000 0.0000 0.1281
Al1 0.0000 0.5000 0.0000
Cr1 0.0000 0.0000 0.5000

Peak list (10 most intense, 2θ = 10–90°, low angle first)
2theta  Rel. int.
20.64  19
33.78  60
33.94  33
39.90  100
40.06  32
60.53  12
64.57  18
64.67  15
71.04  14
71.44  14

=====

# 1
Structure and computed powder X-ray diffraction pattern of Na3Zn2RuO6 (a crystal structure in Alexandria, relaxed with GGA-PBE; Cu Kα, 1.54184 Å).

The 10 most intense peaks (10° ≤ 2θ ≤ 90°), most intense first:
- 2θ 16.5, I 100
- 2θ 40.2, I 84
- 2θ 35.0, I 56
- 2θ 40.1, I 42
- 2θ 59.2, I 36
- 2θ 33.6, I 34
- 2θ 57.0, I 25
- 2θ 33.4, I 23
- 2θ 74.0, I 17
- 2θ 69.8, I 13

Structural model:
Lattice parameters (Å, degrees): 5.4095 9.3569 5.6699 90.00 108.73 90.00
Space group C2/m (No. 12)
Unique sites:
1 Na 0.0000 0.0000 0.0000 (multiplicity 2)
2 Na 0.0000 0.3290 0.0000 (multiplicity 4)
3 Zn 0.0000 0.1666 0.5000 (multiplicity 4)
4 Ru 0.0000 0.5000 0.5000 (multiplicity 2)
5 O 0.2240 0.3442 0.7058 (multiplicity 8)
6 O 0.2423 0.5000 0.2966 (multiplicity 4)

# 2
Structure and computed powder X-ray diffraction pattern of Na4S2O5 (a crystal structure in Alexandria, relaxed with GGA-PBE; Cu Kα, 1.54184 Å).

The 10 most intense peaks (10° ≤ 2θ ≤ 90°), most intense first:
- 2θ 37.9, I 100
- 2θ 24.6, I 83
- 2θ 30.7, I 67
- 2θ 31.1, I 53
- 2θ 33.6, I 47
- 2θ 33.8, I 40
- 2θ 32.9, I 39
- 2θ 24.3, I 39
- 2θ 24.0, I 37
- 2θ 50.4, I 32

Structural model:
Lattice parameters (Å, degrees): 4.7524 5.3622 7.2440 88.89 88.83 64.00
Space group P1 (No. 1)
Unique sites:
1 Na 0.0000 0.0000 0.0000 (multiplicity 1)
2 Na 0.0044 0.0226 0.5062 (multiplicity 1)
3 Na 0.3560 0.3170 0.7501 (multiplicity 1)
4 Na 0.6348 0.7242 0.2401 (multiplicity 1)
5 S 0.3160 0.3345 0.2523 (multiplicity 1)
6 S 0.6866 0.6777 0.7325 (multiplicity 1)
7 O 0.0271 0.2781 0.2334 (multiplicity 1)
8 O 0.1798 0.6520 0.2834 (multiplicity 1)
9 O 0.4620 0.1858 0.4353 (multiplicity 1)
10 O 0.5788 0.8492 0.9241 (multiplicity 1)
11 O 0.8401 0.3454 0.7746 (multiplicity 1)

# 3
Structure and computed powder X-ray diffraction pattern of NaS2O4 (a crystal structure in Alexandria, relaxed with GGA-PBE; Cu Kα, 1.54184 Å).

The 10 most intense peaks (10° ≤ 2θ ≤ 90°), most intense first:
- 2θ 14.5, I 100
- 2θ 18.0, I 77
- 2θ 22.7, I 32
- 2θ 24.5, I 30
- 2θ 29.3, I 21
- 2θ 15.1, I 20
- 2θ 30.4, I 18
- 2θ 25.7, I 18
- 2θ 35.4, I 18
- 2θ 37.3, I 15

Structural model:
Lattice parameters (Å, degrees): 13.1486 6.9441 6.0275 90.00 103.04 90.00
Space group C2 (No. 5)
Unique sites:
1 Na 0.1823 0.0000 0.1422 (multiplicity 4)
2 S 0.0069 0.3590 0.2002 (multiplicity 4)
3 S 0.1649 0.4879 0.2572 (multiplicity 4)
4 O 0.0198 0.1452 0.2280 (multiplicity 4)
5 O 0.1409 0.6781 0.1559 (multiplicity 4)
6 O 0.2030 0.4823 0.5034 (multiplicity 4)
7 O 0.2213 0.3602 0.1299 (multiplicity 4)

# 4
Structure and computed powder X-ray diffraction pattern of Na2SO (a crystal structure in Alexandria, relaxed with GGA-PBE; Cu Kα, 1.54184 Å).

The 10 most intense peaks (10° ≤ 2θ ≤ 90°), most intense first:
- 2θ 19.8, I 100
- 2θ 30.8, I 60
- 2θ 40.2, I 51
- 2θ 42.2, I 24
- 2θ 54.3, I 18
- 2θ 45.2, I 17
- 2θ 45.4, I 17
- 2θ 47.8, I 15
- 2θ 58.2, I 15
- 2θ 64.2, I 11

Structural model:
Lattice parameters (Å, degrees): 8.9633 8.9633 4.2066 90.00 90.00 90.00
Space group I4_1/amd (No. 141, origin choice 2)
Unique sites:
1 Na 0.0000 0.0000 0.0000 (multiplicity 8)
2 S 0.0000 0.2500 0.3750 (multiplicity 4)
3 O 0.0000 0.2500 0.8750 (multiplicity 4)

# 5
Structure and computed powder X-ray diffraction pattern of NaSO3 (a crystal structure in Alexandria, relaxed with GGA-PBE; Cu Kα, 1.54184 Å).
=====

[Solution]
The following is a computed XRD peak list of Zr2Al3Cr. It was derived from a crystal structure in Alexandria, relaxed with GGA-PBE, using copper Kα.
Intensities are scaled so that the largest is 100.

Structural model:
a b c (Å): 5.3076 5.3076 12.9069
angles (deg): 90.00 90.00 120.00
Space group R-3m (No. 166, hexagonal axes)
One atom of each set of equivalent atoms:
Zr1 0.0000 0.0000 0.1281
Al1 0.0000 0.5000 0.0000
Cr1 0.0000 0.0000 0.5000

Peak list (10 most intense, 2θ = 10–90°, low angle first)
2theta  Rel. int.
20.64  19
33.78  60
33.94  33
39.90  100
40.06  32
60.53  12
64.57  18
64.67  15
71.04  14
71.44  14

=====

# 1
Structure and computed powder X-ray diffraction pattern of Na3Zn2RuO6 (a crystal structure in Alexandria, relaxed with GGA-PBE; Cu Kα, 1.54184 Å).

The 10 most intense peaks (10° ≤ 2θ ≤ 90°), most intense first:
- 2θ 16.5, I 100
- 2θ 40.2, I 84
- 2θ 35.0, I 56
- 2θ 40.1, I 42
- 2θ 59.2, I 36
- 2θ 33.6, I 34
- 2θ 57.0, I 25
- 2θ 33.4, I 23
- 2θ 74.0, I 17
- 2θ 69.8, I 13

Structural model:
Lattice parameters (Å, degrees): 5.4095 9.3569 5.6699 90.00 108.73 90.00
Space group C2/m (No. 12)
Unique sites:
1 Na 0.0000 0.0000 0.0000 (multiplicity 2)
2 Na 0.0000 0.3290 0.0000 (multiplicity 4)
3 Zn 0.0000 0.1666 0.5000 (multiplicity 4)
4 Ru 0.0000 0.5000 0.5000 (multiplicity 2)
5 O 0.2240 0.3442 0.7058 (multiplicity 8)
6 O 0.2423 0.5000 0.2966 (multiplicity 4)

# 2
Structure and computed powder X-ray diffraction pattern of Na4S2O5 (a crystal structure in Alexandria, relaxed with GGA-PBE; Cu Kα, 1.54184 Å).

The 10 most intense peaks (10° ≤ 2θ ≤ 90°), most intense first:
- 2θ 37.9, I 100
- 2θ 24.6, I 83
- 2θ 30.7, I 67
- 2θ 31.1, I 53
- 2θ 33.6, I 47
- 2θ 33.8, I 40
- 2θ 32.9, I 39
- 2θ 24.3, I 39
- 2θ 24.0, I 37
- 2θ 50.4, I 32

Structural model:
Lattice parameters (Å, degrees): 4.7524 5.3622 7.2440 88.89 88.83 64.00
Space group P1 (No. 1)
Unique sites:
1 Na 0.0000 0.0000 0.0000 (multiplicity 1)
2 Na 0.0044 0.0226 0.5062 (multiplicity 1)
3 Na 0.3560 0.3170 0.7501 (multiplicity 1)
4 Na 0.6348 0.7242 0.2401 (multiplicity 1)
5 S 0.3160 0.3345 0.2523 (multiplicity 1)
6 S 0.6866 0.6777 0.7325 (multiplicity 1)
7 O 0.0271 0.2781 0.2334 (multiplicity 1)
8 O 0.1798 0.6520 0.2834 (multiplicity 1)
9 O 0.4620 0.1858 0.4353 (multiplicity 1)
10 O 0.5788 0.8492 0.9241 (multiplicity 1)
11 O 0.8401 0.3454 0.7746 (multiplicity 1)

# 3
Structure and computed powder X-ray diffraction pattern of NaS2O4 (a crystal structure in Alexandria, relaxed with GGA-PBE; Cu Kα, 1.54184 Å).

The 10 most intense peaks (10° ≤ 2θ ≤ 90°), most intense first:
- 2θ 14.5, I 100
- 2θ 18.0, I 77
- 2θ 22.7, I 32
- 2θ 24.5, I 30
- 2θ 29.3, I 21
- 2θ 15.1, I 20
- 2θ 30.4, I 18
- 2θ 25.7, I 18
- 2θ 35.4, I 18
- 2θ 37.3, I 15

Structural model:
Lattice parameters (Å, degrees): 13.1486 6.9441 6.0275 90.00 103.04 90.00
Space group C2 (No. 5)
Unique sites:
1 Na 0.1823 0.0000 0.1422 (multiplicity 4)
2 S 0.0069 0.3590 0.2002 (multiplicity 4)
3 S 0.1649 0.4879 0.2572 (multiplicity 4)
4 O 0.0198 0.1452 0.2280 (multiplicity 4)
5 O 0.1409 0.6781 0.1559 (multiplicity 4)
6 O 0.2030 0.4823 0.5034 (multiplicity 4)
7 O 0.2213 0.3602 0.1299 (multiplicity 4)

# 4
Structure and computed powder X-ray diffraction pattern of Na2SO (a crystal structure in Alexandria, relaxed with GGA-PBE; Cu Kα, 1.54184 Å).

The 10 most intense peaks (10° ≤ 2θ ≤ 90°), most intense first:
- 2θ 19.8, I 100
- 2θ 30.8, I 60
- 2θ 40.2, I 51
- 2θ 42.2, I 24
- 2θ 54.3, I 18
- 2θ 45.2, I 17
- 2θ 45.4, I 17
- 2θ 47.8, I 15
- 2θ 58.2, I 15
- 2θ 64.2, I 11

Structural model:
Lattice parameters (Å, degrees): 8.9633 8.9633 4.2066 90.00 90.00 90.00
Space group I4_1/amd (No. 141, origin choice 2)
Unique sites:
1 Na 0.0000 0.0000 0.0000 (multiplicity 8)
2 S 0.0000 0.2500 0.3750 (multiplicity 4)
3 O 0.0000 0.2500 0.8750 (multiplicity 4)

# 5
Structure and computed powder X-ray diffraction pattern of NaSO3 (a crystal structure in Alexandria, relaxed with GGA-PBE; Cu Kα, 1.54184 Å).